Data
~~~
(1)
Computed, not measured: Na10EuSn12 after structural relaxation at the PBE-GGA level of DFT.

Properties
Energy of formation from the pure elements ... -0.275 eV/atom
Space group ... No. 217

The structure in POSCAR format:
```
Na10EuSn12
1.0
-5.640 5.640 5.640
5.640 -5.640 5.640
5.640 5.640 -5.640
Na Eu Sn
10 1 12
Cartesian
2.199 2.199 2.199
2.820 5.640 0.000
0.000 5.640 2.820
0.000 2.820 5.640
3.441 -3.441 3.441
5.640 2.820 0.000
3.441 3.441 -3.441
2.820 0.000 5.640
5.640 0.000 2.820
-3.441 3.441 3.441
0.000 0.000 0.000
8.119 1.030 1.030
4.610 4.610 2.479
1.030 -1.030 3.161
-1.030 3.161 1.030
1.030 1.030 8.119
-1.030 1.030 3.161
2.479 4.610 4.610
1.030 3.161 -1.030
4.610 2.479 4.610
3.161 -1.030 1.030
1.030 8.119 1.030
3.161 1.030 -1.030
```

=====

(2)
Computed, not measured: NaEuTl2 after structural relaxation at the PBE-GGA level of DFT.

Properties
Energy of formation from the pure elements ... -0.288 eV/atom
Space group ... No. 225

The structure in POSCAR format:
```
NaEuTl2
1.0
0.000 3.919 3.919
3.919 0.000 3.919
3.919 3.919 0.000
Na Eu Tl
1 1 2
Cartesian
3.919 3.919 3.919
0.000 0.000 0.000
5.879 5.879 5.879
1.960 1.960 1.960
```

=====

(3)
Computed, not measured: Eu3Nb after structural relaxation at the PBE-GGA level of DFT.

Properties
Energy of formation from the pure elements ... 0.594 eV/atom
Space group ... No. 139

The structure in POSCAR format:
```
Eu3Nb
1.0
-2.627 2.627 4.582
2.627 -2.627 4.582
2.627 2.627 -4.582
Eu Nb
3 1
Cartesian
0.000 2.627 2.291
2.627 0.000 2.291
0.000 0.000 4.582
0.000 0.000 0.000
```

=====

(4)
Computed, not measured: EuNb3 after structural relaxation at the PBE-GGA level of DFT.

Properties
Energy of formation from the pure elements ... 0.584 eV/atom
Space group ... No. 194
Total magnetic moment ... 13.55 μB/cell

The structure in POSCAR format:
```
EuNb3
1.0
3.243 -5.617 0.000
3.243 5.617 0.000
0.000 0.000 5.077
Eu Nb
2 6
Cartesian
3.243 1.872 3.808
3.243 -1.872 1.269
1.379 0.796 1.269
5.107 0.796 1.269
3.243 4.024 1.269
5.107 -0.796 3.808
1.379 -0.796 3.808
3.243 -4.024 3.808
```

=====

(5)
Computed, not measured: Eu3Nb after structural relaxation at the PBE-GGA level of DFT.

Properties
Energy of formation from the pure elements ... 0.598 eV/atom
Space group ... No. 194
Total magnetic moment ... 45.95 μB/cell

The structure in POSCAR format:
```
Eu3Nb
1.0
-3.467 2.744 5.380
-3.100 -4.685 -4.115
1.829 -4.068 3.254
Eu Nb
6 2
Cartesian
-2.031 -1.605 6.160
-0.383 -2.910 3.602
-3.505 -3.833 4.203
-4.356 -3.098 0.917
-2.707 -4.403 -1.641
-1.233 -2.175 0.315
-2.887 -0.749 3.028
-1.851 -5.259 1.490
```

=====

(6)
Computed, not measured: NdEu2NbO6 after structural relaxation at the PBE-GGA level of DFT.

Properties
Energy of formation from the pure elements ... -3.220 eV/atom
Space group ... No. 225

The structure in POSCAR format:
```
NdEu2NbO6
1.0
0.000 -4.298 -4.298
4.298 0.000 -4.298
4.298 -4.298 0.000
Nd Eu Nb O
1 2 1 6
Cartesian
4.298 -4.298 -4.298
2.149 -2.149 -2.149
6.447 -6.447 -6.447
0.000 0.000 0.000
2.005 -4.298 -4.298
6.591 -4.298 -4.298
4.298 -6.591 -4.298
4.298 -2.005 -4.298
4.298 -4.298 -6.591
4.298 -4.298 -2.005
```

=====

Repeat the third record exactly.
Computed, not measured: Eu3Nb after structural relaxation at the PBE-GGA level of DFT.

Properties
Energy of formation from the pure elements ... 0.594 eV/atom
Space group ... No. 139

The structure in POSCAR format:
```
Eu3Nb
1.0
-2.627 2.627 4.582
2.627 -2.627 4.582
2.627 2.627 -4.582
Eu Nb
3 1
Cartesian
0.000 2.627 2.291
2.627 0.000 2.291
0.000 0.000 4.582
0.000 0.000 0.000
```


(A)
Density functional theory data (GGA+U) for a relaxed Li3Ni2C4O12 crystal.

The structure in POSCAR format:
```
Li3Ni2C4O12
1.0
-3.753 3.752 -0.967
2.409 0.295 5.982
6.778 3.947 -2.386
O C Li Ni
12 4 3 2
direct
0.205 0.463 0.299 O
0.886 0.825 0.447 O
0.939 0.108 0.769 O
0.132 0.917 0.240 O
0.557 0.385 0.272 O
0.210 0.330 0.057 O
0.962 0.612 0.737 O
0.516 0.523 0.691 O
0.661 0.172 0.548 O
0.734 0.947 0.200 O
0.763 0.677 0.938 O
~~~

Request
Print only the last part of the rows earlier on, starting with the line that has "-3.220 eV/atom".

Worked solution
Energy of formation from the pure elements ... -3.220 eV/atom
Space group ... No. 225

The structure in POSCAR format:
```
NdEu2NbO6
1.0
0.000 -4.298 -4.298
4.298 0.000 -4.298
4.298 -4.298 0.000
Nd Eu Nb O
1 2 1 6
Cartesian
4.298 -4.298 -4.298
2.149 -2.149 -2.149
6.447 -6.447 -6.447
0.000 0.000 0.000
2.005 -4.298 -4.298
6.591 -4.298 -4.298
4.298 -6.591 -4.298
4.298 -2.005 -4.298
4.298 -4.298 -6.591
4.298 -4.298 -2.005
```

=====

Repeat the third record exactly.
Computed, not measured: Eu3Nb after structural relaxation at the PBE-GGA level of DFT.

Properties
Energy of formation from the pure elements ... 0.594 eV/atom
Space group ... No. 139

The structure in POSCAR format:
```
Eu3Nb
1.0
-2.627 2.627 4.582
2.627 -2.627 4.582
2.627 2.627 -4.582
Eu Nb
3 1
Cartesian
0.000 2.627 2.291
2.627 0.000 2.291
0.000 0.000 4.582
0.000 0.000 0.000
```


(A)
Density functional theory data (GGA+U) for a relaxed Li3Ni2C4O12 crystal.

The structure in POSCAR format:
```
Li3Ni2C4O12
1.0
-3.753 3.752 -0.967
2.409 0.295 5.982
6.778 3.947 -2.386
O C Li Ni
12 4 3 2
direct
0.205 0.463 0.299 O
0.886 0.825 0.447 O
0.939 0.108 0.769 O
0.132 0.917 0.240 O
0.557 0.385 0.272 O
0.210 0.330 0.057 O
0.962 0.612 0.737 O
0.516 0.523 0.691 O
0.661 0.172 0.548 O
0.734 0.947 0.200 O
0.763 0.677 0.938 O